# Excerpt
~~~
For Li2Ti2FeO6, a GGA+U-relaxed structure gives the calculated PXRD pattern in this record (Cu Kα).
Intensities are scaled so that the largest is 100.

```
data_Li2Ti2FeO6
_cell_length_a 9.0693
_cell_length_b 5.1601
_cell_length_c 10.4038
_cell_angle_alpha 90.00
_cell_angle_beta 90.00
_cell_angle_gamma 90.00
_symmetry_space_group_name_H-M 'C m c e'
_symmetry_Int_Tables_number 64
_symmetry_space_group_name_Hall '-C 2ac 2'
loop_
_atom_site_label
_atom_site_fract_x
_atom_site_fract_y
_atom_site_fract_z
Li1 0.2500 0.0781 0.2500
Ti1 0.1603 0.0000 0.0000
Fe1 0.0000 0.0000 0.5000
O1 0.0000 0.1432 0.9001
O2 0.1840 0.1814 0.6072
```

The 8 most intense peaks (10° ≤ 2θ ≤ 80°), in order of falling intensity:
hkl 0 0 2, 5.202 Å, I = 100; hkl 3 1 3, 2.085 Å, I = 32; hkl 3 1 1, 2.530 Å, I = 28; hkl 3 1 5, 1.627 Å, I = 18; hkl 3 3 1, 1.480 Å, I = 15; hkl 0 2 4, 1.832 Å, I = 15; hkl 0 2 2, 2.311 Å, I = 14; hkl 3 1 2, 2.332 Å, I = 10
~~~

# Job
It remains to start at the top of the notes earlier on and copy each line, ending with the one that has "most intense".

# Done
For Li2Ti2FeO6, a GGA+U-relaxed structure gives the calculated PXRD pattern in this record (Cu Kα).
Intensities are scaled so that the largest is 100.

```
data_Li2Ti2FeO6
_cell_length_a 9.0693
_cell_length_b 5.1601
_cell_length_c 10.4038
_cell_angle_alpha 90.00
_cell_angle_beta 90.00
_cell_angle_gamma 90.00
_symmetry_space_group_name_H-M 'C m c e'
_symmetry_Int_Tables_number 64
_symmetry_space_group_name_Hall '-C 2ac 2'
loop_
_atom_site_label
_atom_site_fract_x
_atom_site_fract_y
_atom_site_fract_z
Li1 0.2500 0.0781 0.2500
Ti1 0.1603 0.0000 0.0000
Fe1 0.0000 0.0000 0.5000
O1 0.0000 0.1432 0.9001
O2 0.1840 0.1814 0.6072
```

The 8 most intense peaks (10° ≤ 2θ ≤ 80°), in order of falling intensity: